If you asked a group of enterprise infrastructure managers about their major pain points over the past couple of decades, one of their top responses would still be “too much data, not enough storage.” This is just one of the observations 451 Alliance members shared in an enterprise storage survey, the results of which were presented by Henry Baltazar, research director for the storage practice at 451 Research, at the webinar “Disaster Recovery & Data Management Push Storage to the Breaking Point.”
“It should be no surprise [that] data growth is still the top challenge,” said Baltazar, reporting that survey respondents “were expecting their data to grow by 28% for the next year… [including] 15% in the ‘significant increase’ bucket, where you’re growing over 50% per year.”

_Molecular data from another source follow_
[1]
Formula: C58H47FNO6P2RuS3
Source: OMol25
Level of theory: ωB97M-V/def2-TZVPD

Results
- Charge: 0
- HOMO energy (alpha / beta): -0.27068 / -0.29251 hartree
- 2S+1: 2
- Frontier orbital gap (alpha / beta): 6.9 / 7.2 eV

XYZ file:
```
119
Properties=species:S:1:pos:R:3:forces:R:3:lowdin_spin:R:1
C 2.649877 0.486423 -2.506951 -0.79 -0.63 0.23 -0.001
F 1.431877 -0.262077 2.038549 -1.34 0.91 -1.28 0.005
H 1.327177 -8.272077 -1.803951 0.01 -0.08 -0.05 0.000
C -3.430723 -0.398477 1.638949 -0.04 -0.06 0.36 0.258
H -0.760623 -3.884577 0.738449 -0.10 -0.01 0.06 0.001
C -4.165123 5.274123 0.403049 0.00 0.04 -0.04 0.000
H 0.189777 2.018323 4.611649 0.01 -0.10 0.08 0.000
H -3.101523 -2.406377 0.953149 -0.04 0.16 -0.11 0.031
C -2.287923 -0.761177 4.173849 0.57 -0.43 -0.32 0.008
C 3.960677 0.950623 -2.675051 0.21 0.23 -0.02 0.000
C 4.491177 1.217623 1.561049 -0.04 0.13 -0.02 0.000
C -2.064023 3.709423 1.311649 0.30 -0.07 -0.29 -0.004
C 1.852877 -5.721377 -1.415851 -0.10 0.15 0.08 0.000
C 0.844277 -7.952977 -0.883751 0.03 0.00 0.08 0.000
H -5.006223 5.846923 0.038849 -0.02 0.08 0.00 0.000
Ru -0.011023 0.443023 0.595649 2.00 -1.19 2.49 0.010
H -6.555023 -0.831377 -0.640851 -0.05 -0.02 -0.08 -0.006
C -1.518223 -1.155477 6.420349 0.08 0.03 0.09 0.000
H -2.720523 -2.695677 -3.721151 -0.11 -0.05 0.03 0.000
H 1.678877 -2.884277 -4.566251 -0.06 -0.04 -0.03 0.000
C -4.554423 0.355823 1.830649 0.42 -0.32 0.28 -0.004
C -3.200923 4.822523 -0.482351 -0.03 0.11 -0.10 0.000
H -4.782623 5.375023 2.453349 0.00 -0.01 0.02 0.000
C 2.748477 1.722523 0.006549 0.21 -0.28 -0.03 0.000
O -2.189223 -1.118477 -0.268351 -0.43 0.18 -0.66 0.039
H -2.977723 -1.927077 7.787249 0.00 -0.01 0.06 0.000
C -4.049123 4.993723 1.754549 -0.10 0.03 0.13 0.000
H -2.995523 -1.499977 -5.826551 -0.08 -0.02 -0.02 0.000
C 1.069777 3.855523 5.289749 0.06 0.02 0.11 0.000
O 1.107177 2.545623 -1.826851 -0.68 0.52 -0.56 -0.002
H 5.818777 0.672223 -3.677451 0.06 0.05 0.02 0.000
H 2.591977 -6.229177 -2.017051 0.10 -0.05 -0.07 0.000
H 1.225877 6.706023 3.484249 0.01 0.06 -0.03 0.000
C 5.274177 -1.571777 -5.065551 0.09 -0.09 -0.11 0.000
C 2.548577 2.946923 0.628949 -0.09 -0.03 -0.38 0.001
C -3.350623 -1.410677 0.538449 -0.24 -0.12 0.31 0.068
S -2.286223 0.358323 -0.991451 -0.78 0.09 -0.53 0.005
H 1.355477 3.458223 6.252849 0.03 -0.05 0.06 0.000
C -3.545023 -1.236177 4.528249 -0.03 0.03 -0.22 0.004
H 6.280577 -1.201477 -5.202151 0.09 0.02 0.00 0.000
C -5.679823 -0.746177 -0.013651 0.01 -0.43 -0.21 0.003
C 5.122677 2.811323 3.398449 -0.06 -0.05 0.00 0.000
C 0.767777 -1.047777 -3.216451 -0.17 -0.42 0.41 0.001
H -1.416323 3.655623 -0.724551 0.06 -0.08 -0.14 0.000
C 3.329277 3.305323 1.712449 0.07 -0.18 -0.01 0.000
C 0.871977 -6.460277 -0.761951 -0.06 0.05 0.01 0.000
P -1.834823 -0.156977 2.497849 -0.39 1.24 -0.27 0.021
C 4.306377 2.441923 2.195949 -0.01 0.00 -0.08 0.000
H -4.551523 1.116023 2.598549 -0.05 0.14 0.10 -0.005
C -0.257923 0.375023 -6.505251 0.20 0.07 0.09 0.000
_The piece goes on_

At the same time, while storage budgets are expected to increase in the coming 12 months, they will not support the growth necessary to house and manage the new data being generated at most enterprises.
“We need to make better use of [existing] resources to make sure that we’re handling this burden as it comes in,” Baltazar said. “It’s like the water is coming in faster, we need to have bigger buckets.”
Lax data management compounds the problem
Baltazar sees the problem of explosive data generation intensified by a lack of data retention policies – or non-adherence to any policies that do exist – at many organizations. More than three in 10 organizations lack data retention policies or don’t follow the ones they have, and 36% have no or poor data deletion practices.

## Attached: calculated molecules
........
(1)
13
Properties=species:S:1:pos:R:3:forces:R:3 method="wB97M-V/def2-TZVPD" max_force_ev_per_a=4.3 e_homo_ev=-10.73 total_charge=0 e_above_lowest_ev=0.854 e_tot_ev=-33821.26237 gap_ha=0.4129 lumo_ev=0.5
H 1.2810 0.2765 1.3428 0.09 -0.14 -1.66
N 1.6288 -0.1439 0.4368 -1.03 0.25 0.44
C 0.7782 -0.2985 -0.4869 -1.01 2.62 -0.42
C -0.6896 0.1540 -0.5812 0.46 -0.04 2.92
Cl 1.1585 -1.1823 -1.9094 0.81 -0.04 -1.21
H -0.8504 1.1638 -0.1920 0.49 -0.04 0.19
H -1.0431 -0.5395 0.2249 -0.79 0.68 -0.93
H -1.2864 0.1312 -1.4749 0.46 -0.78 -0.58
O 2.0729 -2.7137 0.3389 1.55 -0.13 -0.04
C 0.9647 -2.4192 0.4212 3.00 -3.03 0.71
O -0.1531 -2.4764 0.5844 -4.21 0.50 0.60
Cl 4.0966 1.5710 0.8801 0.27 0.49 0.04
H 3.9928 0.3387 1.1702 -0.10 -0.33 -0.05

***

(2)
9
Properties=species:S:1:pos:R:3:forces:R:3 method="wB97M-V/def2-TZVPD" max_force_ev_per_a=3.8 e_homo_ev="-8.84 / -8.83" total_charge=0 e_above_lowest_ev=7.216 e_tot_ev=-7055.76952 gap_ha="0.3262 / 0.3286" lumo_ev="0.0 / 0.1"
C -1.8987 -0.2997 0.0219 1.59 -0.10 -0.77
N 2.8072 0.2270 0.4082 3.12 0.60 2.13
N -0.7221 -0.3260 0.7262 1.15 0.06 1.52
N 1.8672 0.1367 -0.3105 -2.39 0.36 -1.81
N 0.9283 -0.0250 -0.9012 0.33 -0.12 -0.72
H -1.5984 -0.8377 -0.9458 -1.56 0.42 0.88
H -2.1803 0.7411 -0.1021 -0.51 0.32 -0.63
H -2.5393 -0.7300 0.7799 -1.15 -0.81 -0.48
H 3.3362 1.1137 0.3234 -0.58 -0.72 -0.13

***

(3)
23
Properties=species:S:1:pos:R:3:forces:R:3 method="wB97M-V/def2-TZVPD" max_force_ev_per_a=3.0 e_homo_ev=-13.37 total_charge=+1 e_above_lowest_ev=3.062 e_tot_ev=-23416.98506 gap_ha=0.3586 lumo_ev=-3.6
H -4.6314 -0.4198 1.3907 2.39 0.78 -1.48
N -3.7133 -0.5265 0.8213 -2.43 -0.42 1.29
C -3.0398 0.2070 0.0868 -0.26 2.10 -0.25
Cl -3.1395 2.0381 -0.2209 -0.04 -2.30 0.44
C -1.8336 -0.4462 -0.5793 -0.19 0.80 0.54
N -2.2021 -1.8954 -0.5921 1.77 -2.24 -0.91
C -0.6114 -0.2656 0.3655 -1.24 -0.33 0.27
N 0.3634 0.1589 -0.2640 1.04 0.24 -1.29
C 1.6663 0.5423 0.2250 -0.26 -0.21 1.63
C 2.7843 -0.1274 -0.6303 -3.00 -0.18 0.31
C 1.7405 2.0413 0.1418 1.08 0.03 -1.07
H -1.4607 -0.0078 -1.5261 -0.84 -0.60 0.35
H -2.8026 -2.3732 -1.3173 0.53 1.43 0.44
H -2.7137 -2.0150 0.3088 0.13 -0.09 -0.05
H -1.2804 -2.4175 -0.6315 -1.33 0.39 0.32
H -0.7559 -0.4651 1.4631 0.33 0.17 -0.76
H 1.6025 0.4160 1.3342 1.02 -0.88 -0.54
H 2.3469 -0.1890 -1.6258 -0.37 -0.87 -0.08
H 3.4539 0.6181 -0.8697 2.44 1.20 0.42
H 3.1257 -1.0800 -0.2526 0.37 0.05 -0.09
H 1.6464 2.3820 -0.8787 -0.41 0.25 -0.32
H 2.7112 2.3829 0.4593 0.54 -0.08 0.24
H 1.0603 2.4864 0.8043 -1.27 0.77 0.59

***

(4)
141
Properties=species:S:1:pos:R:3:forces:R:3 method="wB97M-V/def2-TZVPD" max_force_ev_per_a=1.4 e_homo_ev=-12.27 total_charge=+2 e_tot_ev=-201367.47364 gap_ha=0.2552 lumo_ev=-5.3
Ca -0.1315 0.4343 0.3728 -0.08 0.70 -0.69
C -3.6435 0.6139 -1.8428 0.24 -0.04 0.11
P -2.9860 1.1782 -0.2105 -0.88 0.26 -0.45
C -3.8814 0.0240 0.9039 -0.11 0.21 0.34
N -4.8989 0.5306 1.5520 -0.08 0.06 -0.10
C -5.5785 -0.2148 2.4405 0.20 -0.79 0.26
C -6.7172 0.2891 3.0979 -0.13 -0.07 0.14
........

Still, he understands why the data management conundrum exists. “If you talk to the stakeholders, they think all their data is important,” he said. “They’re not willing to give up any of their data, [and in] some cases, they may be right….” With AI, machine learning, analytics and trying to extract business value, there’s even more pressure to keep and hold onto data.
Traditional storage spending shifts toward cloud
Baltazar reported that “public cloud spending is cutting into on-premises budgets for 59% of respondents,” a trend propelled by the growing work-from-home movement, in which data is both generated and accessed in a wider range of locations. The storage survey showed that 61% of organizations use cloud storage at present, with another 29% either testing it now or planning to deploy it within the coming year.

Cloud storage may be on the rise, but Baltazar doesn’t expect it will fully supplant on-premises storage operations. Rather, a hybrid IT environment, featuring both on- and off-premises storage components, is likely where most organizations are headed.
“When we ask [survey respondents] about what the future is for storage infrastructure… 60% of them or so say they want to get to a true hybrid environment, where they have on-premises resources and they have cloud resources, but they have the ability to use them interchangeably.”
The survey showed several key hybrid cloud storage use cases, led by storage backup and disaster recovery. “Cloud-based disaster recovery is definitely another area we’re keeping a close eye on,” Baltazar noted, with “37% of you claiming to use it today, [a figure expected to jump] all the way up to 53% two years from now.”

A good problem to have
Throughout the presentation, Baltazar returned repeatedly to the fundamental issue of persistent data growth and the strain it places on storage systems. Ultimately, he offered a silver lining to the problem:
“You probably have more issues if your data is not growing,” he stated. “I don’t necessarily see data growth as a bad thing. [It] could be a function of how your business is transforming… of adding more applications… [or] due to technology changes.”
You probably have more issues if your data is not growing.
Henry Baltazar, 451 Research
So, as much as data growth poses a monumental challenge, “I would be more concerned if your data isn’t growing,” Baltazar concluded, “because that probably says more about the business than it says about your management of… the infrastructure.”
Baltazar covered other storage-related material in his webinar, including wide-ranging topics like containerized storage and the role of storage in surviving ransomware attacks. His presentation was part of the 451 Alliance’s monthly webinar series, which is available at no cost to IT professionals who participate in our quantitative surveys or qualitative interviews. A complete library of on-demand research products is available to Alliance members. Continued thanks to our members for sharing their knowledge with peers through their participation in our studies.